The Indian and his insatiable appetite for the college degree

It’s all about your college degree and the so-called “multi-national” you work for.

Ashwin Ramesh
Indian Startup Ecosystem
4 min readSep 29, 2013


I’m the only person in my fairly large extended circle who didn’t end up having a formal college education

I started my first business when I was 15 and just didn’t find the point in going through the drab they called high school and college. Almost everyone except my parents, uncle and close relatives effectively discouraged me from pursuing my dreams and wanted me to focus on getting a college degree.

Sell the computer. Turn off the internet and lock him in a room. The only way your son is ever going to succeed being an entrepreneur is by getting himself an MBA.

This is what my 12th grade chemistry teacher told my parents during a regular PTM. She really believed that I had it in me to go get an MBA, but I was just not motivated to do so. She believed that my parents getting rid of the computer and internet would get me back on course.

Thankfully, my folks never complied.

I come from a fairly conservative family where every cousin or second cousin or uncle has either an engineering degree or a management degree. My parents’ dream for me was to study well, get into a good college and get a good job.

The moment they realized that I wasn’t interested in that, they resisted a little, but eventually became supportive. My mom gave me one piece of advise which I thought was irrelevant back then, but I understand makes a lot of sense now — “Do what you want, go to school like everyone else, don’t tell any of your teachers or school friends what you’re doing”.

As a kid growing up in upper middle class India, if you’re not academically proficient, you’re considered mostly a loser. And, I didn’t understand the merits of not being able to flaunt my other talents. But, boy was she right.

Everything changed the moment everyone knew

I looked forward to the moment of reckoning when everyone would know exactly what I was doing. It did happen, in a span of a few weeks, I found myself covered in every major newspaper and magazine. And, everything changed from then on.

Almost every uncle, aunty and random person my parents knew were calling them up and talking about how formal education was very very important and how they’re making a mistake encouraging their son.

But, they didn’t listen to these people either. They let me do what I wanted to — for that I am ever greatful.

Oh, you’re 22. Where do you work? Erm, you don’t work anywhere, are you studying? Oh, you’re an entrepreneur? Where did you get your MBA or Engineering degree

Almost everyone I meet today asks me where I got my MBA when I tell them that I’m an entrepreneur. They get shocked beyond belief when I tell them that I’m a college dropout and still manage to get by running two businesses, both of which are in high-tech.

For some reasons, Indians just can’t deal with the fact that someone without pedigree can get somewhere in life. It’s unbelievable that you can be a good programmer, successful businessman or great marketer without an {insert random college degree here}

A few days ago, a very well “formally educated” person wanted to see if he could share some office space with us. He had just quit his job in one of the very large IT outsourcing companies in India to pursue his startup dreams. As usual, he was flabbergasted when I told him that I had no college degree. But, something he said really shocked me. It goes like this — “Oh, my sister’s kid is just like you. He’s got a $10,000 grant to go build a business and he’s in the 10th grade. My sister asked me what she should do. I told her to ask him to focus on finishing his college first before doing anything else.”

Even if we can’t encourage kids who are different, let’s not discourage them.

Every single day, I get ten new people telling me how I missed a lot of “fun” and knowledge that I could have gained by going to college. To all of you folks — I agree, but you have no idea how much fun I had by doing what I did and discovering what I did.

Next to the piece, the page also holds records of molecules >
No. 1
An isolated ion of composition C12H15N2O and charge +1. Source: the Open Molecules 2025 dataset; level of theory: ωB97M-V/def2-TZVPD.

Structure (XYZ):
```
30
Properties=species:S:1:pos:R:3:forces:R:3:nbo_charge:R:1
C -1.419777 -2.751205 -0.279030 0.0 -2.4 -1.4 -0.454
N -1.098088 -1.308951 -0.318023 1.2 -0.9 0.8 -0.385
C 0.160051 -0.914832 -0.103866 -2.4 3.8 -1.7 0.795
O 1.089428 -1.750933 0.175360 1.8 -0.9 0.5 -0.381
C 2.314786 -1.052544 0.189828 0.6 3.2 0.1 0.228
C 3.664655 -1.361813 0.412667 -2.8 -1.1 -0.9 -0.203
C 4.559453 -0.365158 0.166048 2.8 -0.8 -0.1 -0.216
C 4.244954 0.933939 -0.122410 -0.3 1.8 -1.2 -0.170
C 2.909769 1.361946 -0.254816 -0.1 -1.6 -0.2 -0.225
C 2.003587 0.302303 -0.094321 -0.5 0.9 -0.3 0.107
N 0.603246 0.423981 -0.307288 -0.3 -4.0 0.8 -0.379
C -0.261292 1.637264 -0.528501 1.6 -1.4 2.5 -0.209
C -1.258857 1.750230 0.610152 -1.2 0.3 -1.0 -0.412
C -2.337507 0.604664 0.593408 0.7 -0.1 3.7 -0.436
C -2.211731 -0.334390 -0.556525 -0.4 -2.1 0.1 -0.222
H -2.014147 -2.957608 -1.192866 0.4 0.2 0.2 0.224
H -0.541471 -3.540949 -0.354960 -1.4 2.3 0.4 0.259
H -2.117929 -3.138361 0.493002 0.7 1.0 0.3 0.235
H 3.923522 -2.385662 0.497053 0.6 -0.7 0.4 0.244
H 5.640537 -0.687178 0.055131 -1.4 0.6 0.5 0.246
H 5.077125 1.570423 -0.451090 -0.5 0.0 0.5 0.241
H 2.510048 2.309530 -0.667826 0.9 -0.5 0.6 0.239
H -0.633976 1.626517 -1.516181 -0.3 0.3 -0.9 0.221
H 0.414337 2.432271 -0.310304 0.5 0.8 -0.7 0.236
H -1.829881 2.667637 0.292433 0.6 -0.5 1.0 0.233
H -0.704363 1.891920 1.572068 -0.8 -0.1 -0.8 0.241
H -2.343010 0.002569 1.652810 0.3 1.2 -2.7 0.231
H -3.280360 1.120263 0.653208 -0.6 -0.2 -0.5 0.248
H -3.101692 -1.028005 -0.600476 0.8 1.1 -0.3 0.247
H -2.021846 0.136993 -1.523601 -0.4 -0.1 0.1 0.219
```
Forces are in eV/Å.

Properties
Highest occupied orbital energy (eV): -12.1
LUMO (Ha): -0.092
Spin multiplicity: 1
Charge: +1
Energy relative to the best compared isomer or geometry (same formula, charge and spin) (kcal/mol): 19.38
Frontier orbital gap (eV): 9.63

---

No. 2
C5H13Cl2CrMg as an isolated structure. Source: the Open Molecules 2025 dataset; level of theory: ωB97M-V/def2-TZVPD.

Structure (XYZ):
```
22
Properties=species:S:1:pos:R:3:forces:R:3:nbo_charge:R:1
Cr 0.864629 -0.425208 1.184049 0.7 1.7 -2.6 1.085
Cl 0.004225 -1.156329 3.048518 -1.0 -0.7 1.9 -0.644
C 1.560433 -2.181298 0.416079 0.1 -0.2 -0.4 -1.009
H 2.102013 -2.046202 -0.538871 -0.2 0.0 0.3 0.186
H 0.698295 -2.855313 0.252391 0.3 0.1 0.0 0.183
H 2.242915 -2.624245 1.162879 -0.2 0.0 -0.2 0.174
Mg -1.421899 0.822692 -1.320262 0.7 -0.1 0.9 1.565
C -2.635839 2.529636 -0.983998 -0.3 0.2 -0.2 -1.397
C -2.220202 -1.097670 -1.671799 -0.3 -0.2 -0.3 -1.400
C 0.575636 0.949775 -0.481341 0.2 -0.6 0.3 -1.647
H -1.934803 -1.452475 -2.672603 -0.1 -0.2 0.1 0.172
H -1.807307 -1.778937 -0.912904 -0.1 0.0 -0.2 0.195
H -3.315588 -1.065971 -1.589106 0.0 -0.2 -0.1 0.171
H -2.295814 3.352233 -1.631021 -0.2 0.1 0.1 0.173
H -3.687845 2.287069 -1.190418 -0.1 0.3 0.0 0.169

